## Work order
Copy everything below word for word.

## Material
____________
No. 1
DFT (GGA-PBEsol) results for crystalline Li2BeZn at its relaxed geometry.

Cell: 2.5574 2.5574 26.7613 Å, 90.00 90.00 120.00°
Closest atoms and distances in Å follow each position.
Space group R-3m (No. 166, hexagonal axes)
Unique sites:
Li1 0.0000 0.0000 0.2465 x6  6 Li 2.56, 3 Be 2.60, 3 Zn 2.75
Be1 0.0000 0.0000 0.5000 x3  6 Be 2.56, 6 Li 2.60
Zn1 0.0000 0.0000 0.0000 x3  6 Zn 2.56, 6 Li 2.75

Results
**Polymorph energy (0 for the lowest one)**: 0.0813 eV/atom
**Density**: 2.90 g/cm3
**ΔH_f (0 K)**: 0.125 eV per atom
**Density of states at the Fermi level**: 3.77 states/eV/cell
**Calculated total energy**: -27.05 eV for the cell shown

No. 2
DFT (GGA-PBEsol) results for crystalline Li4ZrBe at its relaxed geometry.

Cell: 7.1172 7.1172 7.1172 Å, 90.00 90.00 90.00°
Closest atoms and distances in Å follow each position.
Space group F-43m (No. 216)
Unique sites:
Li1 0.1231 0.1231 0.3769 x16  6 Li 2.48-2.55
Zr1 0.0000 0.0000 0.0000 x4  12 Li 2.95, 4 Be 3.08
Be1 0.2500 0.2500 0.7500 x4  12 Li 2.95, 4 Zr 3.08

Results
**Density**: 2.36 g/cm3
**ΔH_f (0 K)**: 0.397 eV per atom
**Density of states at the Fermi level**: 9.04 states/eV/cell
**Calculated total energy**: -74.29 eV for the cell shown

No. 3
DFT (GGA-PBEsol) results for crystalline Li2ZrBe at its relaxed geometry.

Cell: 2.6789 4.6929 10.3751 Å, 90.00 90.00 90.00°
Closest atoms and distances in Å follow each position.
Space group Immm (No. 71)
Unique sites:
Li1 0.0000 0.0000 0.2080 x4  2 Be 2.54, 6 Li 2.68-2.84
Zr1 0.0000 0.5000 0.0000 x2  2 Zr 2.68, 4 Be 2.70
Be1 0.0000 0.5000 0.5000 x2  4 Li 2.54, 2 Be 2.68, 4 Zr 2.70

Results
**Density**: 2.91 g/cm3
**ΔH_f (0 K)**: 0.247 eV per atom
**Density of states at the Fermi level**: 6.42 states/eV/cell
**Calculated total energy**: -32.07 eV for the cell shown

No. 4
DFT (GGA-PBEsol) results for crystalline LiZrBe2 at its relaxed geometry.

Cell: 5.9572 5.9572 5.9572 Å, 90.00 90.00 90.00°
Closest atoms and distances in Å follow each position.
Space group Fm-3m (No. 225)
Unique sites:
Li1 0.0000 0.0000 0.0000 x4  8 Be 2.58
Zr1 0.0000 0.0000 0.5000 x4  8 Be 2.58
Be1 0.2500 0.2500 0.2500 x8  4 Zr 2.58, 4 Li 2.58

Results
**Density**: 3.65 g/cm3
**ΔH_f (0 K)**: 0.133 eV per atom
**Density of states at the Fermi level**: 6.59 states/eV/cell
**Calculated total energy**: -74.10 eV for the cell shown

=====

Here is crystalline RbMn2CuTc at its relaxed geometry from the Alexandria database. Energies are from PBE.

Cell and atoms, written as extended XYZ:
```
5
Lattice="-0.4269 -0.2699 4.7419 -4.7124 -1.9820 -0.5370 1.8566 -4.3917 -0.0828" Properties=species:S:1:pos:R:3 pbc="T T T"
Tc 0.0000 0.0000 0.0000
Mn -0.2134 -0.1349 2.3710
Cu -2.3562 -0.9910 -0.2685
Mn 0.9283 -2.1959 -0.0414
Rb -1.6414 -3.3218 2.0610
```

## Properties
As for the theoretical density: 5.07 g/cm³. For the formation energy, the calculation gives 5.12 eV/f.u. The density of states at the Fermi level is 0.7918 states/eV per atom. The value obtained for the electronic total energy is -28.65 eV/cell.
____________

## Result
No. 1
DFT (GGA-PBEsol) results for crystalline Li2BeZn at its relaxed geometry.

Cell: 2.5574 2.5574 26.7613 Å, 90.00 90.00 120.00°
Closest atoms and distances in Å follow each position.
Space group R-3m (No. 166, hexagonal axes)
Unique sites:
Li1 0.0000 0.0000 0.2465 x6  6 Li 2.56, 3 Be 2.60, 3 Zn 2.75
Be1 0.0000 0.0000 0.5000 x3  6 Be 2.56, 6 Li 2.60
Zn1 0.0000 0.0000 0.0000 x3  6 Zn 2.56, 6 Li 2.75

Results
**Polymorph energy (0 for the lowest one)**: 0.0813 eV/atom
**Density**: 2.90 g/cm3
**ΔH_f (0 K)**: 0.125 eV per atom
**Density of states at the Fermi level**: 3.77 states/eV/cell
**Calculated total energy**: -27.05 eV for the cell shown

No. 2
DFT (GGA-PBEsol) results for crystalline Li4ZrBe at its relaxed geometry.

Cell: 7.1172 7.1172 7.1172 Å, 90.00 90.00 90.00°
Closest atoms and distances in Å follow each position.
Space group F-43m (No. 216)
Unique sites:
Li1 0.1231 0.1231 0.3769 x16  6 Li 2.48-2.55
Zr1 0.0000 0.0000 0.0000 x4  12 Li 2.95, 4 Be 3.08
Be1 0.2500 0.2500 0.7500 x4  12 Li 2.95, 4 Zr 3.08

Results
**Density**: 2.36 g/cm3
**ΔH_f (0 K)**: 0.397 eV per atom
**Density of states at the Fermi level**: 9.04 states/eV/cell
**Calculated total energy**: -74.29 eV for the cell shown

No. 3
DFT (GGA-PBEsol) results for crystalline Li2ZrBe at its relaxed geometry.

Cell: 2.6789 4.6929 10.3751 Å, 90.00 90.00 90.00°
Closest atoms and distances in Å follow each position.
Space group Immm (No. 71)
Unique sites:
Li1 0.0000 0.0000 0.2080 x4  2 Be 2.54, 6 Li 2.68-2.84
Zr1 0.0000 0.5000 0.0000 x2  2 Zr 2.68, 4 Be 2.70
Be1 0.0000 0.5000 0.5000 x2  4 Li 2.54, 2 Be 2.68, 4 Zr 2.70

Results
**Density**: 2.91 g/cm3
**ΔH_f (0 K)**: 0.247 eV per atom
**Density of states at the Fermi level**: 6.42 states/eV/cell
**Calculated total energy**: -32.07 eV for the cell shown

No. 4
DFT (GGA-PBEsol) results for crystalline LiZrBe2 at its relaxed geometry.

Cell: 5.9572 5.9572 5.9572 Å, 90.00 90.00 90.00°
Closest atoms and distances in Å follow each position.
Space group Fm-3m (No. 225)
Unique sites:
Li1 0.0000 0.0000 0.0000 x4  8 Be 2.58
Zr1 0.0000 0.0000 0.5000 x4  8 Be 2.58
Be1 0.2500 0.2500 0.2500 x8  4 Zr 2.58, 4 Li 2.58

Results
**Density**: 3.65 g/cm3
**ΔH_f (0 K)**: 0.133 eV per atom
**Density of states at the Fermi level**: 6.59 states/eV/cell
**Calculated total energy**: -74.10 eV for the cell shown

=====

Here is crystalline RbMn2CuTc at its relaxed geometry from the Alexandria database. Energies are from PBE.

Cell and atoms, written as extended XYZ:
```
5
Lattice="-0.4269 -0.2699 4.7419 -4.7124 -1.9820 -0.5370 1.8566 -4.3917 -0.0828" Properties=species:S:1:pos:R:3 pbc="T T T"
Tc 0.0000 0.0000 0.0000
Mn -0.2134 -0.1349 2.3710
Cu -2.3562 -0.9910 -0.2685
Mn 0.9283 -2.1959 -0.0414
Rb -1.6414 -3.3218 2.0610
```

## Properties
As for the theoretical density: 5.07 g/cm³. For the formation energy, the calculation gives 5.12 eV/f.u. The density of states at the Fermi level is 0.7918 states/eV per atom. The value obtained for the electronic total energy is -28.65 eV/cell.